While we often have food at our events, until this past Saturday, we had never had an actual food preparation WORKSHOP. Sure, we’ve had plenty of meetings, workshops, and events where we TALKED about food but had never had a real “roll up your sleeves and get chopping” sort of gathering. It dawned on us over time that it’s one thing to “talk the talk” of regaining food sovereignty by canning and fermenting our own food, but altogether different to “walk the walk” by yes, renting a church basement equipped with a good kitchen, gathering high quality ingredients, bringing interesting people together and well . . . CHOP, CHOP!
The very best part of the workshop? These folks:

(Prepping apples for applesauce)
And these:

(students putting finished kimchi into jars)

**Records of crystals, as found in the file:**
┌──
## Sm6Dy3Tl (GGA-PBE)

Data for a relaxed structure of Sm6Dy3Tl.

abc: 3.604 12.318 14.808
angles: 93.82 90.00 90.00
Element x y z (fractional)
Sm (0.250, 0.380, 0.547)
Sm (0.750, 0.620, 0.453)
Sm (0.250, 0.887, 0.996)
Sm (0.750, 0.113, 0.004)
Sm (0.250, 0.809, 0.607)
Sm (0.750, 0.191, 0.393)
Sm (0.250, 0.698, 0.251)
Sm (0.750, 0.302, 0.749)
Sm (0.250, 0.564, 0.890)
Sm (0.750, 0.436, 0.110)
Sm (0.250, 0.205, 0.189)
Sm (0.750, 0.795, 0.811)
Dy (0.250, 0.100, 0.582)
Dy (0.750, 0.900, 0.418)
Dy (0.250, 0.426, 0.319)
Dy (0.750, 0.574, 0.681)
Dy (0.250, 0.052, 0.804)
Dy (0.750, 0.948, 0.196)
Tl (0.250, 0.312, 0.941)
Tl (0.750, 0.688, 0.059)

Properties
The spin magnetization comes out at 0.000 μB/atom. The total energy is -0.1628 Ha/atom. The space-group type is P2_1/m. The calculation puts the energy of formation at 0.02 eV/atom. As for the density of states at the Fermi level: 1.400 states/eV per atom.
└──

(Learning about the canning process from Gwenne Baile)
We had such a happy time together elbow to elbow, coring, chopping, slicing, chatting, sharing stories, getting to know one another, sharing warmth. And I will tell you this much, the energy in the room was so rich that you can bet our finished products will reflect the lovely time we had together.

But, applesauce and kimchi? Could we have dreamed up a more contrasting food pairing? If there is a food spectrum these two couldn’t be much further apart; warm, comforting applesauce sprinkled with a little cinnamon on a chilly autumn night next to the fire vs. “hang onto your hats folks, we’re opening the kimchi jar!” You won’t be curling up in front of a crackling fire with a jar of kimchi, but after eating it you will certainly feel a LOT more fiery. Kimchi is a traditional Korean fermented side dish made from Napa cabbage. It is really easy to make and only takes three days to ferment. There are thousands of special recipe variations according to season, region and family traditions in Korea, and now there is an official GMO Free NJ kimchi recipe.
Why applesauce? Aside from the wonderful variety of yummy, crisp beauties that are now in season, we say “why not applesauce?” It is the ultimate comfort food and everyone should have a jar on the pantry shelf.
But, isn’t GMO Free NJ all about GMO education? The primary goal of GMO Free NJ is to foster good relationships with the people we meet. We strive to grow our communities and strengthen our relationships with members of those communities. As our community grows we make new friends. And “friends help friends” learn skills that were lost to the industrialization of the food supply. And “friends help friends” find great resources for healthy, nourishing foods. We always encourage each other to “know your farmer, your grocer, and other food providers.” We want to support those who are committed to transparency in labeling, sustainable agriculture and a safe nourishing food supply.

On that note, Whole Foods of Marlton generously donated the crisp, flavorful apples for the canning portion of the workshop. We want to extend a huge thank you to Whole Foods for their donation and for sharing our commitment to a safe, sustainable food future & our freedom to choose.
After having tasted this heavenly applesauce while curled up in front of a fire I strongly recommend that you get to Whole Foods, pick up some apples & follow the instructions below . . . um, maybe I’ll see you there.